Mining & Tunneling
The same guiding principles that helped Drill Tech become a top 10 foundation contractor—according to Engineering News-Record’s Top Specialty Contractors list—can be seen in Drill Tech’s Mining & Tunneling Division (DTM&T).
Drill Tech's Mining & Tunneling Division has been involved in numerous public and private projects, including the Two Mile Bar Tunnel for the Oakdale Irrigation District, Tunnel Stabilization Phases 1, 2 & 4 for the South Coast Water District in Laguna Beach, and various projects at the Barrick Cortez Hills Underground Mine in Nevada.
Drill Tech Drilling & Shoring, Inc. is a recognized leader in the foundation and excavation industry.
### Between two parts of the entry: materials data
........
The following is a GGA-PBE calculation of crystalline Sc7CBr12 at its relaxed geometry, from the Materials Project database.

Lattice parameters (Å, degrees): 8.6130 8.6130 8.6130 107.75 107.75 107.75
Positions (direct):
Sc: 0.0000 0.0000 0.0000
Sc: 0.2357 0.4323 0.4995
Sc: 0.4323 0.4995 0.2357
Sc: 0.4995 0.2357 0.4323
Sc: 0.5607 0.8165 0.6257
Sc: 0.6257 0.5607 0.8165
Sc: 0.8165 0.6257 0.5607
C: 0.5224 0.5224 0.5224
Br: 0.0677 0.3634 0.1414
Br: 0.1414 0.0677 0.3634
Br: 0.2167 0.7488 0.5987
Br: 0.3027 0.4472 0.8328
Br: 0.3634 0.1414 0.0677
Br: 0.4472 0.8328 0.3027
Br: 0.5987 0.2167 0.7488
Br: 0.6708 0.9091 0.9878
Br: 0.7488 0.5987 0.2167
Br: 0.8328 0.3027 0.4472
Br: 0.9091 0.9878 0.6708
Br: 0.9878 0.6708 0.9091

Properties
E_form   -1859 meV per atom
Energy above the lowest structure with this stoichiometry   0.000 eV/f.u.



The following is a GGA-PBE calculation of crystalline SiH6CI3N at its relaxed geometry, from the Materials Project database.

Lattice parameters (Å, degrees): 8.5824 8.5934 12.9568 89.97 88.91 88.84
Positions (direct):
Si: 0.0000 0.0000 0.0000
Si: 0.0230 0.0301 0.5002
Si: 0.4986 0.5067 0.0001
Si: 0.5225 0.5304 0.5003
H: 0.0119 0.3917 0.3324
H: 0.0326 0.6142 0.1553
H: 0.0488 0.3999 0.6591
H: 0.1052 0.5835 0.6563
H: 0.1146 0.4375 0.1587
H: 0.1262 0.5644 0.3290
H: 0.1391 0.4803 0.8298
H: 0.4163 0.0491 0.1587
H: 0.4179 0.0430 0.6572
H: 0.4368 0.9314 0.3321
H: 0.4401 0.9263 0.8307
H: 0.4853 0.1294 0.8294
H: 0.4967 0.1304 0.3293
H: 0.5452 0.9012 0.1575
H: 0.5566 0.9037 0.6580
H: 0.6051 0.0895 0.6566
H: 0.6058 0.0834 0.1554
H: 0.6405 0.9762 0.3279
H: 0.6395 0.9855 0.8302
H: 0.9162 0.5451 0.6586
H: 0.9172 0.5796 0.3288
H: 0.9220 0.4564 0.1588
H: 0.9368 0.4305 0.8327
H: 0.9915 0.6310 0.8293
C: 0.0190 0.5108 0.3030
C: 0.0220 0.5127 0.8035
C: 0.5220 0.0133 0.8029
C: 0.5236 0.0121 0.3027
I: 0.0202 0.0095 0.7979
I: 0.0273 0.0116 0.2975
I: 0.2500 0.2373 0.5279
I: 0.2763 0.7517 0.0280
I: 0.2812 0.7436 0.5307
I: 0.2859 0.2734 0.0302
I: 0.5200 0.5087 0.7981
I: 0.5256 0.5171 0.2975
I: 0.7518 0.7354 0.5295
I: 0.7780 0.2536 0.0322
I: 0.7796 0.2420 0.5284
I: 0.7844 0.7746 0.0270
N: 0.0223 0.5050 0.1881
N: 0.0230 0.5102 0.6885
N: 0.5227 0.0106 0.1877
N: 0.5253 0.0121 0.6879

Properties
........
### Back to the entry
We have constructed tunnels and shafts ranging from 6 to over 30 feet in diameter, utilizing a wide range of excavation techniques including drill and blast, hand spading, road header and excavator. Drill Tech is also experienced in a wide range of ground support types including steel sets, lattice girders, shotcrete, liner plate, timber sets, and rock bolts.
Drill Tech’s Mining & Tunneling Division is a full-service development and production contractor providing portals, declines, tunnels, shafts, mine infrastructure, and rehabilitation.
Drill Tech Owns a fleet of mining equipment
Drill Tech’s fleet of owned mining equipment includes numerous late model haul trucks, jumbos, LHDs, bolters and shotcrete equipment, plus shaft sinking equipment including stage hoists, shaft jumbos, and Cryderman muckers.
Drill Tech has significant experience in excavating and supporting new and existing tunnels.
Experienced in excavating and tunneling
In addition to extensive experience in excavation and tunneling, Drill Tech is also experienced providing retrofit services in tunnels as diverse as small water tunnels, long railroad tunnels in remote areas, and large caverns. Drill Tech can provide tunnel drilling and tunnel boring services in numerous ground types, with excavation methods ranging from hand work to drill and blast, to roadheader. Our support options include rock bolts, chain link, lattice girder, shotcrete, steel ribs, and continuous lagging.
Shafts are vertical openings commonly constructed at the sending and/or receiving ends of new tunnel or pipeline construction.
support options for shafts
They enable the supply of equipment, personnel, material, and support systems for tunneling activities. Drill Tech has significant experience in excavating and supporting shafts to depths of over 1,000 feet in numerous ground types, including “gassy” shafts. Support options for shafts range from CSM and secant wall support to overburden, rock anchors, steel sets, and shotcrete and concrete in rock, in dewatered ground conditions.